Meet the team

Meet the team of coaches, race directors and physios who are bringing you Why We Run



My ultra running journey came about by accident (similar to Why We Run actually..) in lockdown as I battled to find out who I was without professional sport. I had an opportunity to take part in a multistage ultra marathon in September 2020 with Ultra X. 
Long story short, I learned more about myself in those two days than I had done in 10 years as a professional athlete. 
And so, my mission over these last few years has been to not only explore my own potential as an athlete and human being but to help others use endurance sport as a tool to help them do the same. 
I believe in empowering others with knowledge, to encourage them to ask themselves why, and to create life lasting memories with incredible people in the process. 
I’m very grateful that I’m able to do what I do with such an epic team of people around me. This didn’t come easy, and that’s partly the point..  nothing worth having ever is. But I can promise you one this…
It’s worth it. 


Race Director

I entered the world of running in 2017 to help with both my physical and mental health. I quickly learned the value of community in helping both myself and others achieve goals. 
Having worked myself up to marathon distance quite quickly, I settled into the world of marathons before discovering ultra running. 
Ultra running has given me so many opportunities to run in many incredible places all over the world, but more importantly, to connect with likeminded people and make lasting friendships.
Quickly learned that I could find so much joy not only in running in an event, but also crewing and supporting runners in achieving their goals.
My talents for people and project management lead me to helping to assist in event logistics and planning, as well as taking responsibility for parts of key races in many locations.
Being able to take all these experiences, and help create a unique event such as WhyWeRun is a huge passion project for me, and my goal is always to ensure that everyone who is a part of our events, feels supported and gets the best possible experience from it they can.



## Records of crystals, kept here for reference
Entry from Alexandria: a PBEsol-optimized structure of ZnRhW2 (SCAN).

Structure (extended XYZ):
```
4
Lattice="-0.0094 -2.7044 0.2632 3.8587 -0.0196 -0.0642 0.0947 0.5377 5.5288" Properties=species:S:1:pos:R:3 pbc="T T T"
Rh 1.9941 -0.9677 4.1533
W 1.9493 -1.2221 1.5373
W 0.0945 0.5361 5.5123
Zn 0.0483 0.2741 2.8181
```

Computed properties:
**Formation energy**: 81 meV/atom
**Energy**: -46.58 eV/atom

Entry from Alexandria: a PBEsol-optimized structure of ZnRhW2 (SCAN).

Structure (extended XYZ):
```
4
Lattice="-1.6900 -2.4531 1.0983 2.0934 -2.5693 -2.5173 2.7802 1.8632 3.8506" Properties=species:S:1:pos:R:3 pbc="T T T"
Zn -0.8450 -1.2265 0.5492
W 1.6846 -2.8334 0.8526
W 1.4990 -0.3257 1.5790
Rh 1.0467 -1.2846 -1.2587
```

Computed properties:
**Formation energy**: 31 meV/atom
**Energy**: -46.63 eV/atom

Entry from Alexandria: a PBEsol-optimized structure of ZnRhW2 (SCAN).

Structure (extended XYZ):
```
4
Lattice="-2.0500 -1.2753 -2.1414 1.0155 -3.8098 1.2967 -3.1757 0.1565 2.9469" Properties=species:S:1:pos:R:3 pbc="T T T"
Rh -1.0801 -1.8266 2.1218
Zn -2.6128 -0.5594 0.4027
W 0.0000 0.0000 0.0000
W -0.5172 -2.5425 -0.4224
```

Computed properties:
**Formation energy**: 100 meV/atom
**Energy**: -46.57 eV/atom

----------

Entry 1:
Computed, not measured: a geometry-optimized LiBr structure at the PBE level of DFT.

## Properties
ΔE_f (raw): -1444 meV per atom
Symmetry: No. 166
Density of states at the Fermi level: 0.000 states/eV/atom

Geometry as POSCAR:
```
LiBr
1.0
9.977 0.049 0.029
9.049 4.201 0.029
9.049 2.021 3.683
Br Li
2 2
Direct
0.956 0.956 0.956
0.794 0.794 0.794
0.461 0.461 0.461
0.289 0.289 0.289
```

Entry 2:
Computed, not measured: a geometry-optimized LiBr2 structure at the PBE level of DFT.

## Properties
Polymorph energy (0 for the lowest one): 97.8 meV per atom
ΔE_f (raw): -888 meV per atom
Symmetry: No. 2
Density of states at the Fermi level: 0.267 states/eV/atom

Geometry as POSCAR:
```
LiBr2
1.0
2.935 0.000 0.000
1.467 3.674 0.000
0.061 0.710 7.558
Li Br
1 2
Direct
0.000 0.000 0.000
0.674 0.662 0.774
0.326 0.338 0.226
```

Entry 3:
Computed, not measured: a geometry-optimized Li5Br4 structure at the PBE level of DFT.

## Properties
Polymorph energy (0 for the lowest one): 0.0 meV per atom
ΔE_f (raw): -1172 meV per atom
Symmetry: No. 139

Geometry as POSCAR:
```
Li5Br4
1.0
4.532 -6.164 2.943
-1.560 7.942 -1.299
-5.494 -0.551 6.058
Li Br
5 4
Direct
0.000 0.000 0.000
0.367 0.633 0.000
0.633 0.367 0.000
0.633 0.633 0.265
0.367 0.367 0.735
0.237 0.000 0.237
0.763 0.000 0.763
0.000 0.763 0.763
0.000 0.237 0.237
```

Entry 4:
Computed, not measured: a geometry-optimized LiBr2 structure at the PBE level of DFT.

## Properties
Polymorph energy (0 for the lowest one): 97.2 meV per atom
ΔE_f (raw): -889 meV per atom
Symmetry: No. 8
Density of states at the Fermi level: 0.044 states/eV/atom

Geometry as POSCAR:
```
LiBr2
1.0
1.974 4.590 -0.127
-1.974 4.590 -0.127
0.000 -0.090 11.030
Li Br
2 4
Direct
0.978 0.978 0.714
0.251 0.251 0.897
## So much for the records of crystals

I started running consistently during COVID, it helped me in more ways than I could have imagined. Since then I have participated in marathons, ultramarathons and multistage events. One of which was running Why We Run in October 2023. 
I’ve completely fallen in love with the trails and alongside my full time role as an environment and sustainability consultant I have become an enormous advocate for using running and movement as a tool to support a healthier and happier life.
I am extremely aware of the balancing act of working in an office, managing training, and both preparing for and recovering from races all at the same time. As someone that was prone to skipping cross country 15 years ago to a qualified UESCA Ultrarunning Coach, this is where I hope to impart the lessons I have learned in finding joy in life (and running) in a sustainable, ambitious and holistic way.



My running journey began in 2017, with my first half marathon, which was all it took to get me hooked! The feeling of accomplishment I felt afterwards was amazing! Those feelings and emotions have since evolved into a passion and love for running. 
I have since run everything from 5km up to 70km. With multiple Ultra marathons and a dozen marathons under my belt, I bring practical experience to the coaching table. My CrossFit Level 1 certification ensures a holistic approach to fitness and performance and an understanding of how to balance a hybrid lifestyle. 
Fuelled by a love for the outdoors and a fascination with the psychology of running, connection, community and purpose, I ran almost 4500km for men's mental health in 2022.  
Being an UESCA qualified Ultra Marathon Coach gives me a great foundation and knowledge of how to develop and progress runners of all abilities across a variety of distances, in a fun, manageable and sustainable way. 
I believe in developing and educating not just physical capabilities but also knowledge and self-belief. Coaching is a collaborative journey where we unlock your true potential, both in running and life.
I know first-hand the stresses of balancing training, a social life and a professional career and the difficulties it presents, having been an accountant working in the City for over 3 years. I understand the need for fulfilment, purpose, meaning and growth both personally and professionally and I want to help you develop in any way I can.
I believe that finding harmony amongst the different areas of your life is key to being successful in your goals and I’m here to work towards them with you. 


Coach and Physio

As a high level swimmer, netball player with a degree in psychology, MSc in Clinical Neuroscience and a sports physiotherapist, I am passionate about sharing this education and helping athletes realise their potential. 
Over the last couple of years, I have completely fallen in love with trail running. This love not only stems from challenging yourself in some pretty remarkable settings, but also from the sense of community that comes with it.
There’s no doubt that endurance running puts a huge amount of strain on your body both mentally and physically, so upskilling again and completing my UESCA ultramarathon coaching certification alongside my physiotherapy has only helped me become a better coach. I am also based out of a clinic in Oxford and practice physiotherapy virtually via Run Free Rehab.



Running has become a key part of my life over the last few years, and I’m so grateful for it. In 2022, I started taking it much more seriously. My experience includes two sub three hour marathons, ultramarathons ranging from 50-100km, multistage ultramarathons and now a double Ironman triathlon. 
But why have I become an Ultra Running Coach? Because running opens your life to what’s possible beyond your wildest dreams. It brings together a community of like-minded individuals, friends that last a lifetime.
Success to me is seeing others succeed. Helping someone overcome a challenge, or themselves even, provides meaning for me. It’s all about the journey, dreaming big and being honest with yourself. I pride myself in finding a way to train that doesn’t feel like training at all - you need to enjoy it!